-- Source --
Sc6Co2Tc | PBE | optimized geometry

Properties
Its crystal system is orthorhombic. The volume comes out at 340 Å³/cell. The formation energy comes out at -0.226 eV/atom.

Unit cell a=7.622 b=7.622 c=7.622 alpha=107.47 beta=109.99 gamma=110.98
Fractional coordinates of all 18 atoms:
Sc: 0.808 0.745 0.553
Sc: 0.192 0.745 0.937
Sc: 0.192 0.255 0.447
Sc: 0.916 0.737 0.180
Sc: 0.084 0.263 0.820
Sc: 0.443 0.263 0.180
Sc: 0.301 0.976 0.675
Sc: 0.699 0.024 0.325
Sc: 0.301 0.626 0.325
Sc: 0.557 0.737 0.820
Sc: 0.699 0.374 0.675
Sc: 0.808 0.255 0.063
Tc: 0.000 0.000 0.000
Tc: 0.000 0.500 0.500
Co: 0.353 0.000 0.353
Co: 0.500 0.621 0.121
Co: 0.647 0.000 0.647
Co: 0.500 0.379 0.879

-- To do --
The reader should retype every line further up that contains the word "Its".

-- Worked solution --
Its crystal system is orthorhombic. The volume comes out at 340 Å³/cell. The formation energy comes out at -0.226 eV/atom.